Assignment =
Your job: filter the contents further down: keep the lines with the word "Pd".
Given =
<<<
No. 1
For Th3Sc4Sn4, a DFT-relaxed cell (PBE, Alexandria) gives the simulated X-ray diffraction stick pattern in this record (Cu Kα).

Top 10 peaks for 2θ = 5–70°, in order of falling intensity:
hkl 2 2 0, 3.043 Å, 2θ = 29.35°, I 100
hkl 3 1 0, 2.722 Å, 2θ = 32.90°, I 33
hkl 2 1 1, 3.514 Å, 2θ = 25.34°, I 32
hkl 4 2 2, 1.757 Å, 2θ = 52.05°, I 26
hkl 4 2 0, 1.925 Å, 2θ = 47.22°, I 21
hkl 4 1 1, 2.029 Å, 2θ = 44.66°, I 21
hkl 6 0 0, 1.435 Å, 2θ = 65.01°, I 17
hkl 3 2 1, 2.301 Å, 2θ = 39.16°, I 14
hkl 3 3 2, 1.835 Å, 2θ = 49.68°, I 13
hkl 2 0 0, 4.304 Å, 2θ = 20.64°, I 11

Structure:
Cell: 8.608 8.608 8.608 Å, 90.00 90.00 90.00°
Space group I-43m (No. 217)
Inequivalent atoms, fractional coordinates:
Th: 0.000 0.000 0.500
Sc: 0.123 0.123 0.123
Sn: 0.196 0.196 0.804

No. 2
For NdGaSi2Ni5, a DFT-relaxed cell (PBE, Alexandria) gives the simulated X-ray diffraction stick pattern in this record (Cu Kα).

Top 10 peaks for 2θ = 5–70°, in order of falling intensity:
hkl 1 1 4, 1.825 Å, 2θ = 49.98°, I 100
hkl 1 1 1, 2.584 Å, 2θ = 34.72°, I 92
hkl 1 1 2, 2.358 Å, 2θ = 38.17°, I 82
hkl 2 0 0, 1.891 Å, 2θ = 48.11°, I 73
hkl 1 0 2, 3.015 Å, 2θ = 29.63°, I 68
hkl 0 0 3, 3.328 Å, 2θ = 26.79°, I 67
hkl 2 0 3, 1.644 Å, 2θ = 55.91°, I 33
hkl 2 1 2, 1.602 Å, 2θ = 57.55°, I 30
hkl 0 0 2, 4.993 Å, 2θ = 17.77°, I 25
hkl 1 1 3, 2.084 Å, 2θ = 43.41°, I 18

Structure:
Cell: 3.783 3.783 9.985 Å, 90.00 90.00 90.00°
Space group P4/mmm (No. 123)
Inequivalent atoms, fractional coordinates:
Nd: 0.000 0.000 0.000
Ga: 0.000 0.000 0.500
Si: 0.500 0.500 0.222
Ni: 0.000 0.500 0.347
Ni: 0.500 0.500 0.000

No. 3
For Mg2Cd3Ag2, a DFT-relaxed cell (PBE, Alexandria) gives the simulated X-ray diffraction stick pattern in this record (Cu Kα).

Top 10 peaks for 2θ = 5–70°, in order of falling intensity:
hkl 1 1 2, 2.486 Å, 2θ = 36.14°, I 100
hkl 0 2 0, 2.194 Å, 2θ = 41.14°, I 35
hkl 2 0 4, 1.508 Å, 2θ = 61.48°, I 19
hkl 2 0 -3, 2.076 Å, 2θ = 43.59°, I 14
hkl 4 2 1, 1.551 Å, 2θ = 59.59°, I 12
hkl 1 1 0, 3.993 Å, 2θ = 22.26°, I 11
hkl 2 0 -1, 4.098 Å, 2θ = 21.69°, I 7
hkl 1 1 -1, 3.478 Å, 2θ = 25.61°, I 5
hkl 2 0 2, 2.595 Å, 2θ = 34.56°, I 4
hkl 3 1 1, 2.348 Å, 2θ = 38.33°, I 4

Structure:
Cell: 9.714 4.385 6.605 Å, 90.00 95.87 90.00°
Space group C2/m (No. 12)
Inequivalent atoms, fractional coordinates:
Mg: 0.081 0.000 0.205
Cd: 0.000 0.500 0.500
Cd: 0.209 0.000 0.654
Ag: 0.138 0.500 0.934

No. 4
For Sr2AlZn6Ni, a DFT-relaxed cell (PBE, Alexandria) gives the simulated X-ray diffraction stick pattern in this record (Cu Kα).

Top 10 peaks for 2θ = 5–70°, in order of falling intensity:
hkl 2 0 2, 2.783 Å, 2θ = 32.17°, I 100
hkl 2 2 0, 2.410 Å, 2θ = 37.31°, I 92
hkl 2 2 4, 1.705 Å, 2θ = 53.78°, I 51
hkl 2 4 2, 1.454 Å, 2θ = 64.04°, I 25
hkl 2 0 0, 3.408 Å, 2θ = 26.15°, I 17
hkl 4 2 2, 1.452 Å, 2θ = 64.14°, I 12
hkl 4 0 0, 1.701 Å, 2θ = 53.89°, I 10
hkl 0 4 4, 1.393 Å, 2θ = 67.23°, I 10
hkl 4 0 4, 1.390 Å, 2θ = 67.35°, I 10
hkl 1 0 1, 5.566 Å, 2θ = 15.92°, I 9

Structure:
Cell: 6.806 6.823 9.647 Å, 90.00 90.00 90.00°
Space group Immm (No. 71)
Inequivalent atoms, fractional coordinates:
Sr: 0.000 0.000 0.250
Al: 0.000 0.500 0.000
Zn: 0.000 0.500 0.261
Zn: 0.239 0.260 0.500
Ni: 0.000 0.500 0.500

No. 5
For Li3ZrPd4, a DFT-relaxed cell (PBE, Alexandria) gives the simulated X-ray diffraction stick pattern in this record (Cu Kα).

Top 10 peaks for 2θ = 5–70°, in order of falling intensity:
hkl 2 2 0, 2.205 Å, 2θ = 40.92°, I 100
hkl 2 0 0, 3.119 Å, 2θ = 28.62°, I 48
hkl 1 1 0, 4.411 Å, 2θ = 20.13°, I 17
hkl 4 0 0, 1.559 Å, 2θ = 59.25°, I 16
hkl 4 2 0, 1.395 Å, 2θ = 67.11°, I 16
hkl 2 2 2, 1.801 Å, 2θ = 50.70°, I 13
hkl 2 1 1, 2.547 Å, 2θ = 35.24°, I 8
hkl 3 2 1, 1.667 Å, 2θ = 55.09°, I 4
hkl 3 1 0, 1.973 Å, 2θ = 46.01°, I 4
hkl 4 1 1, 1.470 Å, 2θ = 63.25°, I 2

Structure:
Cell: 6.238 6.238 6.238 Å, 90.00 90.00 90.00°
Space group Im-3m (No. 229)
Inequivalent atoms, fractional coordinates:
Li: 0.000 0.000 0.500
Zr: 0.000 0.000 0.000
Pd: 0.250 0.250 0.250

No. 6
>>>
Reply =
Pd: 0.250 0.250 0.250